**Contents**
********
90
Properties=species:S:1:pos:R:3:forces:R:3:mulliken_charge:R:1 method="wB97M-V/def2-TZVPD" multiplicity=1 total_charge=+1 homo_lumo_gap_ev=5.87
C 2.808 1.456 0.312 -0.606 -0.439 -0.002 -1.094
C 2.410 2.758 -0.282 0.374 0.227 -0.650 0.910
O 2.542 3.079 -1.426 -0.071 -0.016 0.386 -0.554
O 1.872 3.726 0.566 -0.170 -0.149 0.097 -0.366
C 1.150 3.350 1.719 -0.323 0.093 0.258 -0.534
N 0.043 4.323 1.838 0.784 0.545 -1.082 -0.165
C -0.666 4.653 0.696 -0.121 -0.695 0.226 0.356
N -0.395 5.826 0.118 -0.743 -0.018 0.600 -0.393
N -1.650 3.821 0.232 0.563 0.923 -0.163 -0.059
C -1.129 2.645 -0.570 -0.388 -0.724 0.086 -0.156
C -2.057 1.441 -0.492 0.050 0.293 0.053 -0.120
C -2.468 1.034 0.914 -0.414 0.152 0.147 -0.548
N -3.646 1.773 1.394 0.158 -0.096 -0.021 -0.660
H 1.949 0.963 0.778 0.002 0.004 0.007 0.304
H 3.581 1.574 1.067 0.141 0.071 -0.126 0.369
H 3.134 0.816 -0.504 0.254 0.038 0.131 0.346
H 0.732 2.350 1.664 0.116 -0.071 -0.016 0.268
H 1.767 3.462 2.609 -0.094 -0.115 0.069 0.448
H 0.411 5.197 2.198 0.178 -0.116 0.106 0.392
H -1.130 6.402 -0.265 0.142 -0.168 -0.606 0.223
H 0.562 6.139 0.056 -0.032 0.259 0.551 0.246
H -2.242 4.367 -0.388 -0.109 -0.220 -0.079 0.285
H -1.036 2.971 -1.606 0.224 0.093 0.040 0.409
H -0.142 2.361 -0.219 0.025 0.186 0.103 -0.238
H -2.928 1.648 -1.116 -0.204 -0.213 0.177 0.425
H -1.541 0.591 -0.934 0.115 0.045 -0.203 -0.323
H -2.737 -0.022 0.874 0.017 0.011 0.069 0.556
H -1.622 1.149 1.608 0.157 -0.145 -0.113 0.146
H -3.372 2.683 1.739 -0.017 0.072 -0.022 0.214
H -4.049 1.281 2.182 -0.095 -0.007 -0.043 0.229
C -5.263 -1.275 -0.584 -0.005 -0.016 -0.099 0.160
O -4.082 -1.586 -0.629 0.155 0.124 0.033 -0.647
N -6.148 -1.768 0.290 -0.096 -0.015 0.101 0.192
C -7.539 -1.359 0.288 0.071 -0.072 0.043 -0.903
C -5.706 -2.753 1.271 0.057 0.069 -0.256 -0.871
H -5.706 -0.549 -1.287 0.006 0.012 0.014 0.281
H -7.806 -0.911 1.247 -0.031 0.009 -0.008 0.328
H -8.188 -2.218 0.114 -0.030 0.015 -0.003 0.342
H -7.706 -0.628 -0.500 0.006 0.010 -0.014 0.289
H -4.917 -2.334 1.894 0.009 -0.027 0.048 0.057
H -5.303 -3.629 0.763 0.013 -0.023 0.034 0.301
H -6.538 -3.049 1.898 -0.018 0.011 0.046 0.500
C 1.032 -2.434 -2.506 -0.007 -0.014 0.093 0.064
O 2.212 -2.725 -2.511 0.049 -0.010 0.006 -0.607
N 0.487 -1.470 -3.271 -0.094 0.001 -0.018 0.157
C -0.923 -1.140 -3.209 0.261 0.036 -0.083 -0.825
C 1.354 -0.737 -4.180 0.006 -0.076 0.076 -0.918
H 0.298 -2.939 -1.854 -0.008 -0.008 -0.019 0.354
H -1.394 -1.281 -4.183 -0.067 0.019 0.024 0.388
H -1.030 -0.095 -2.912 -0.183 0.006 -0.064 0.146
H -1.427 -1.770 -2.479 -0.015 0.006 0.014 0.372
H 1.821 -1.417 -4.893 0.015 0.018 -0.019 0.253
H 2.149 -0.234 -3.628 0.015 0.016 -0.024 0.262
H 0.764 0.000 -4.719 -0.022 0.004 -0.006 0.397
C 6.477 3.041 1.153 0.091 -0.116 -0.026 0.099
O 5.636 2.259 0.734 -0.083 0.123 0.104 -0.600
N 6.899 4.121 0.483 0.025 0.143 -0.010 0.105
C 7.911 5.015 1.015 -0.067 -0.031 -0.113 -0.924
C 6.325 4.393 -0.827 -0.001 -0.079 0.058 -0.783
H 6.972 2.906 2.127 -0.011 0.003 0.007 0.307
H 7.512 6.025 1.118 0.026 0.014 0.021 0.340
H 8.777 5.047 0.354 0.028 0.013 0.023 0.344
H 8.232 4.664 1.993 0.001 -0.016 0.015 0.291
H 5.246 4.530 -0.751 -0.005 0.007 -0.027 0.143
H 6.509 3.559 -1.503 -0.009 0.004 -0.022 0.301
H 6.777 5.294 -1.232 0.019 0.016 0.007 0.381
C 5.972 -4.901 -5.677 0.028 0.051 -0.076 0.133
O 7.149 -5.186 -5.772 0.038 -0.013 0.012 -0.589
N 5.164 -5.315 -4.683 -0.125 -0.008 0.027 0.124
C 3.765 -4.940 -4.614 0.145 -0.103 0.136 -0.938
C 5.724 -6.166 -3.648 0.038 0.042 -0.076 -0.948
H 5.456 -4.261 -6.414 -0.010 -0.006 0.002 0.264
H 3.559 -4.394 -3.694 -0.074 0.029 -0.024 0.415
H 3.132 -5.830 -4.648 -0.045 0.029 -0.024 0.318
H 3.516 -4.303 -5.460 0.015 0.006 -0.026 0.260
H 6.545 -5.658 -3.141 0.008 -0.018 0.020 0.300
H 6.117 -7.086 -4.082 0.009 -0.014 0.021 0.305
H 4.947 -6.407 -2.927 -0.022 0.007 0.005 0.365
C -6.452 -3.535 5.283 -0.185 -0.234 0.090 0.112
O -6.459 -3.876 4.115 0.112 0.153 -0.025 -0.559
N -5.523 -2.748 5.854 0.066 0.103 0.100 0.112
********

**To do**
Start at the top of the rows above and type out each line, ending with the one that has "0.354 0.028".

**Written answer**
90
Properties=species:S:1:pos:R:3:forces:R:3:mulliken_charge:R:1 method="wB97M-V/def2-TZVPD" multiplicity=1 total_charge=+1 homo_lumo_gap_ev=5.87
C 2.808 1.456 0.312 -0.606 -0.439 -0.002 -1.094
C 2.410 2.758 -0.282 0.374 0.227 -0.650 0.910
O 2.542 3.079 -1.426 -0.071 -0.016 0.386 -0.554
O 1.872 3.726 0.566 -0.170 -0.149 0.097 -0.366
C 1.150 3.350 1.719 -0.323 0.093 0.258 -0.534
N 0.043 4.323 1.838 0.784 0.545 -1.082 -0.165
C -0.666 4.653 0.696 -0.121 -0.695 0.226 0.356
N -0.395 5.826 0.118 -0.743 -0.018 0.600 -0.393
N -1.650 3.821 0.232 0.563 0.923 -0.163 -0.059
C -1.129 2.645 -0.570 -0.388 -0.724 0.086 -0.156
C -2.057 1.441 -0.492 0.050 0.293 0.053 -0.120
C -2.468 1.034 0.914 -0.414 0.152 0.147 -0.548
N -3.646 1.773 1.394 0.158 -0.096 -0.021 -0.660
H 1.949 0.963 0.778 0.002 0.004 0.007 0.304
H 3.581 1.574 1.067 0.141 0.071 -0.126 0.369
H 3.134 0.816 -0.504 0.254 0.038 0.131 0.346
H 0.732 2.350 1.664 0.116 -0.071 -0.016 0.268
H 1.767 3.462 2.609 -0.094 -0.115 0.069 0.448
H 0.411 5.197 2.198 0.178 -0.116 0.106 0.392
H -1.130 6.402 -0.265 0.142 -0.168 -0.606 0.223
H 0.562 6.139 0.056 -0.032 0.259 0.551 0.246
H -2.242 4.367 -0.388 -0.109 -0.220 -0.079 0.285
H -1.036 2.971 -1.606 0.224 0.093 0.040 0.409
H -0.142 2.361 -0.219 0.025 0.186 0.103 -0.238
H -2.928 1.648 -1.116 -0.204 -0.213 0.177 0.425
H -1.541 0.591 -0.934 0.115 0.045 -0.203 -0.323
H -2.737 -0.022 0.874 0.017 0.011 0.069 0.556
H -1.622 1.149 1.608 0.157 -0.145 -0.113 0.146
H -3.372 2.683 1.739 -0.017 0.072 -0.022 0.214
H -4.049 1.281 2.182 -0.095 -0.007 -0.043 0.229
C -5.263 -1.275 -0.584 -0.005 -0.016 -0.099 0.160
O -4.082 -1.586 -0.629 0.155 0.124 0.033 -0.647
N -6.148 -1.768 0.290 -0.096 -0.015 0.101 0.192
C -7.539 -1.359 0.288 0.071 -0.072 0.043 -0.903
C -5.706 -2.753 1.271 0.057 0.069 -0.256 -0.871
H -5.706 -0.549 -1.287 0.006 0.012 0.014 0.281
H -7.806 -0.911 1.247 -0.031 0.009 -0.008 0.328
H -8.188 -2.218 0.114 -0.030 0.015 -0.003 0.342
H -7.706 -0.628 -0.500 0.006 0.010 -0.014 0.289
H -4.917 -2.334 1.894 0.009 -0.027 0.048 0.057
H -5.303 -3.629 0.763 0.013 -0.023 0.034 0.301
H -6.538 -3.049 1.898 -0.018 0.011 0.046 0.500
C 1.032 -2.434 -2.506 -0.007 -0.014 0.093 0.064
O 2.212 -2.725 -2.511 0.049 -0.010 0.006 -0.607
N 0.487 -1.470 -3.271 -0.094 0.001 -0.018 0.157
C -0.923 -1.140 -3.209 0.261 0.036 -0.083 -0.825
C 1.354 -0.737 -4.180 0.006 -0.076 0.076 -0.918
H 0.298 -2.939 -1.854 -0.008 -0.008 -0.019 0.354
H -1.394 -1.281 -4.183 -0.067 0.019 0.024 0.388
H -1.030 -0.095 -2.912 -0.183 0.006 -0.064 0.146
H -1.427 -1.770 -2.479 -0.015 0.006 0.014 0.372
H 1.821 -1.417 -4.893 0.015 0.018 -0.019 0.253
H 2.149 -0.234 -3.628 0.015 0.016 -0.024 0.262
H 0.764 0.000 -4.719 -0.022 0.004 -0.006 0.397
C 6.477 3.041 1.153 0.091 -0.116 -0.026 0.099
O 5.636 2.259 0.734 -0.083 0.123 0.104 -0.600
N 6.899 4.121 0.483 0.025 0.143 -0.010 0.105
C 7.911 5.015 1.015 -0.067 -0.031 -0.113 -0.924
C 6.325 4.393 -0.827 -0.001 -0.079 0.058 -0.783
H 6.972 2.906 2.127 -0.011 0.003 0.007 0.307
H 7.512 6.025 1.118 0.026 0.014 0.021 0.340
H 8.777 5.047 0.354 0.028 0.013 0.023 0.344